┌──
1.
Structure and computed powder XRD pattern of NdSmPa2N4 (a DFT-relaxed cell (PBE, Alexandria); Cu Kα X-rays).
No peak broadening, texture or thermal motion is included.

Unit cell a=5.0506 b=5.0506 c=9.9543 alpha=90.00 beta=90.00 gamma=90.00
Space group I-4m2 (No. 119)
Inequivalent atoms, fractional coordinates:
Nd 0.0000 0.0000 0.0000
Sm 0.0000 0.5000 0.7500
Pa 0.0000 0.0000 0.5000
Pa 0.0000 0.5000 0.2500
N 0.0000 0.0000 0.2667
N 0.0000 0.5000 0.0155

Top 10 peaks for 2θ from 15° to 90°, by angle:
- hkl 1 0 1, 19.71°, intensity 8
- hkl 1 1 2, 30.82°, intensity 100
- hkl 2 0 0, 35.55°, intensity 46
- hkl 0 0 4, 36.09°, intensity 22
- hkl 2 2 0, 51.15°, intensity 16
- hkl 2 0 4, 51.56°, intensity 32
- hkl 3 1 2, 60.92°, intensity 31
- hkl 1 1 6, 61.64°, intensity 15
- hkl 2 2 4, 64.20°, intensity 16
- hkl 3 1 6, 84.14°, intensity 13

2.
Structure and computed powder XRD pattern of SrNd2Pa3N8 (a DFT-relaxed cell (PBE, Alexandria); Cu Kα X-rays).
No peak broadening, texture or thermal motion is included.

Unit cell a=7.1345 b=7.1345 c=17.3802 alpha=90.00 beta=90.00 gamma=120.00
Space group R3m (No. 160, hexagonal axes)
Inequivalent atoms, fractional coordinates:
Sr 0.0000 0.0000 0.0000
Nd 0.0000 0.0000 0.2416
Nd 0.0000 0.0000 0.6216
Pa 0.1682 0.3365 0.4541
N 0.0000 0.0000 0.3868
N 0.0000 0.0000 0.8496
N 0.0504 0.5252 0.3866
N 0.1832 0.3665 0.1909

Top 10 peaks for 2θ from 15° to 90°, by angle:
- hkl 0 0 3, 15.26°, intensity 48
- hkl 1 0 4, 25.04°, intensity 19
- hkl 0 2 1, 29.39°, intensity 100
- hkl 0 1 5, 29.48°, intensity 29
- hkl 2 0 2, 30.72°, intensity 47
- hkl 0 2 4, 35.66°, intensity 28
- hkl 1 2 5, 46.84°, intensity 34
- hkl 2 2 0, 51.22°, intensity 27
- hkl 2 0 8, 51.42°, intensity 26
- hkl 0 4 2, 60.97°, intensity 22

3.
Structure and computed powder XRD pattern of NdPaTaN4 (a DFT-relaxed cell (PBE, Alexandria); Cu Kα X-rays).
No peak broadening, texture or thermal motion is included.

Unit cell a=5.6892 b=12.3662 c=5.6973 alpha=90.00 beta=90.00 gamma=90.00
Space group Cmcm (No. 63)
Inequivalent atoms, fractional coordinates:
Nd 0.0000 0.1056 0.2500
Pa 0.0000 0.3917 0.2500
Ta 0.0000 0.2398 0.7500
N 0.0000 0.0795 0.7500
N 0.0000 0.4375 0.7500
N 0.2500 0.2500 0.0000

Top 10 peaks for 2θ from 15° to 90°, by angle:
- hkl 1 3 1, 31.05°, intensity 100
- hkl 2 0 0, 31.43°, intensity 63
- hkl 1 5 1, 42.92°, intensity 13
- hkl 0 6 0, 43.93°, intensity 8
- hkl 2 0 2, 45.04°, intensity 28
- hkl 2 6 0, 55.01°, intensity 13
- hkl 3 3 1, 55.71°, intensity 40
- hkl 2 6 2, 64.73°, intensity 10
- hkl 3 3 3, 74.34°, intensity 9
- hkl 4 0 2, 74.54°, intensity 11

4.
Structure and computed powder XRD pattern of Nd2PaTe2N2 (a DFT-relaxed cell (PBE, Alexandria); Cu Kα X-rays).
No peak broadening, texture or thermal motion is included.

Unit cell a=4.4440 b=4.4440 c=16.6893 alpha=90.00 beta=90.00 gamma=90.00
Space group I4/mmm (No. 139)
Inequivalent atoms, fractional coordinates:
Nd 0.0000 0.0000 0.1062
Pa 0.0000 0.0000 0.5000
Te 0.0000 0.0000 0.3149
N 0.0000 0.5000 0.0000

Top 10 peaks for 2θ from 15° to 90°, by angle:
- hkl 1 1 0, 28.40°, intensity 78
- hkl 1 0 5, 33.58°, intensity 100
- hkl 2 0 0, 40.60°, intensity 35
- hkl 2 1 5, 53.67°, intensity 53
- hkl 2 2 0, 58.77°, intensity 12
- hkl 1 1 10, 63.07°, intensity 12
- hkl 3 1 0, 66.54°, intensity 14
- hkl 3 0 5, 69.41°, intensity 12
- hkl 2 0 10, 70.58°, intensity 10
- hkl 3 2 5, 83.63°, intensity 15

5.
Structure and computed powder XRD pattern of NdPaTiN4 (a DFT-relaxed cell (PBE, Alexandria); Cu Kα X-rays).
No peak broadening, texture or thermal motion is included.

Unit cell a=5.5250 b=12.3498 c=5.5309 alpha=90.00 beta=90.00 gamma=90.00
Space group Cmcm (No. 63)
Inequivalent atoms, fractional coordinates:
Nd 0.0000 0.1069 0.2500
Pa 0.0000 0.3863 0.2500
Ti 0.0000 0.2365 0.7500
N 0.0000 0.0810 0.7500
N 0.0000 0.4434 0.7500
N 0.2500 0.2500 0.0000

Top 10 peaks for 2θ from 15° to 90°, by angle:
- hkl 1 1 1, 23.88°, intensity 54
- hkl 0 4 0, 28.92°, intensity 21
└──

Please retype the calculation results earlier on from the line with "51.15°, intensity" to the end character by character.

- hkl 2 2 0, 51.15°, intensity 16
- hkl 2 0 4, 51.56°, intensity 32
- hkl 3 1 2, 60.92°, intensity 31
- hkl 1 1 6, 61.64°, intensity 15
- hkl 2 2 4, 64.20°, intensity 16
- hkl 3 1 6, 84.14°, intensity 13

2.
Structure and computed powder XRD pattern of SrNd2Pa3N8 (a DFT-relaxed cell (PBE, Alexandria); Cu Kα X-rays).
No peak broadening, texture or thermal motion is included.

Unit cell a=7.1345 b=7.1345 c=17.3802 alpha=90.00 beta=90.00 gamma=120.00
Space group R3m (No. 160, hexagonal axes)
Inequivalent atoms, fractional coordinates:
Sr 0.0000 0.0000 0.0000
Nd 0.0000 0.0000 0.2416
Nd 0.0000 0.0000 0.6216
Pa 0.1682 0.3365 0.4541
N 0.0000 0.0000 0.3868
N 0.0000 0.0000 0.8496
N 0.0504 0.5252 0.3866
N 0.1832 0.3665 0.1909

Top 10 peaks for 2θ from 15° to 90°, by angle:
- hkl 0 0 3, 15.26°, intensity 48
- hkl 1 0 4, 25.04°, intensity 19
- hkl 0 2 1, 29.39°, intensity 100
- hkl 0 1 5, 29.48°, intensity 29
- hkl 2 0 2, 30.72°, intensity 47
- hkl 0 2 4, 35.66°, intensity 28
- hkl 1 2 5, 46.84°, intensity 34
- hkl 2 2 0, 51.22°, intensity 27
- hkl 2 0 8, 51.42°, intensity 26
- hkl 0 4 2, 60.97°, intensity 22

3.
Structure and computed powder XRD pattern of NdPaTaN4 (a DFT-relaxed cell (PBE, Alexandria); Cu Kα X-rays).
No peak broadening, texture or thermal motion is included.

Unit cell a=5.6892 b=12.3662 c=5.6973 alpha=90.00 beta=90.00 gamma=90.00
Space group Cmcm (No. 63)
Inequivalent atoms, fractional coordinates:
Nd 0.0000 0.1056 0.2500
Pa 0.0000 0.3917 0.2500
Ta 0.0000 0.2398 0.7500
N 0.0000 0.0795 0.7500
N 0.0000 0.4375 0.7500
N 0.2500 0.2500 0.0000

Top 10 peaks for 2θ from 15° to 90°, by angle:
- hkl 1 3 1, 31.05°, intensity 100
- hkl 2 0 0, 31.43°, intensity 63
- hkl 1 5 1, 42.92°, intensity 13
- hkl 0 6 0, 43.93°, intensity 8
- hkl 2 0 2, 45.04°, intensity 28
- hkl 2 6 0, 55.01°, intensity 13
- hkl 3 3 1, 55.71°, intensity 40
- hkl 2 6 2, 64.73°, intensity 10
- hkl 3 3 3, 74.34°, intensity 9
- hkl 4 0 2, 74.54°, intensity 11

4.
Structure and computed powder XRD pattern of Nd2PaTe2N2 (a DFT-relaxed cell (PBE, Alexandria); Cu Kα X-rays).
No peak broadening, texture or thermal motion is included.

Unit cell a=4.4440 b=4.4440 c=16.6893 alpha=90.00 beta=90.00 gamma=90.00
Space group I4/mmm (No. 139)
Inequivalent atoms, fractional coordinates:
Nd 0.0000 0.0000 0.1062
Pa 0.0000 0.0000 0.5000
Te 0.0000 0.0000 0.3149
N 0.0000 0.5000 0.0000

Top 10 peaks for 2θ from 15° to 90°, by angle:
- hkl 1 1 0, 28.40°, intensity 78
- hkl 1 0 5, 33.58°, intensity 100
- hkl 2 0 0, 40.60°, intensity 35
- hkl 2 1 5, 53.67°, intensity 53
- hkl 2 2 0, 58.77°, intensity 12
- hkl 1 1 10, 63.07°, intensity 12
- hkl 3 1 0, 66.54°, intensity 14
- hkl 3 0 5, 69.41°, intensity 12
- hkl 2 0 10, 70.58°, intensity 10
- hkl 3 2 5, 83.63°, intensity 15

5.
Structure and computed powder XRD pattern of NdPaTiN4 (a DFT-relaxed cell (PBE, Alexandria); Cu Kα X-rays).
No peak broadening, texture or thermal motion is included.

Unit cell a=5.5250 b=12.3498 c=5.5309 alpha=90.00 beta=90.00 gamma=90.00
Space group Cmcm (No. 63)
Inequivalent atoms, fractional coordinates:
Nd 0.0000 0.1069 0.2500
Pa 0.0000 0.3863 0.2500
Ti 0.0000 0.2365 0.7500
N 0.0000 0.0810 0.7500
N 0.0000 0.4434 0.7500
N 0.2500 0.2500 0.0000

Top 10 peaks for 2θ from 15° to 90°, by angle:
- hkl 1 1 1, 23.88°, intensity 54
- hkl 0 4 0, 28.92°, intensity 21